Sustainable development in education
All our operations emphasise sustainable development, joint responsibility and equality. Responsibility is part of the Perho Culinary, Tourism & Business College curriculum and present in a number of ways in the education in various learning environments.

A professional minds responsibility of purchasing and usage of materials, consumption of energy and water as well as recycling and lifecycle of food
Internationalism is a natural part of all our students, taking the form of language and culture courses, on-the-job learning in international locations, multidisciplinary projects and study trips. We also organise international theme days and take part in international competitions. Foreign visitors and exchange student and multicultural student groups help students to obtain facts and skills that are needed in an international world.
Targets by field of study
Next to the text, the page also holds calculated molecules >
********
1.
C18H16N2O2S2 in the gas phase in a non-equilibrium geometry, computed with ωB97M-V/def2-TZVPD.

Element x y z (Å)
C (2.42, 1.81, 0.37)
N (1.43, 0.64, 0.39)
C (0.07, 0.80, -0.08)
N (-0.58, -0.28, -0.22)
S (-2.26, -0.17, -0.49)
O (-2.84, 0.94, 0.24)
O (-2.37, -0.15, -1.95)
C (-2.74, -1.80, 0.23)
C (-2.03, -2.87, -0.09)
C (-2.60, -4.02, 0.42)
C (-3.79, -3.84, 1.18)
S (-4.25, -2.16, 1.13)
C (-0.37, 2.10, -0.50)
C (-0.58, 3.25, 0.36)
C (-0.93, 4.58, -0.12)
C (-1.04, 4.72, -1.43)
C (-0.86, 3.69, -2.33)
C (-0.64, 2.40, -1.90)
C (1.91, -0.63, 0.61)
C (2.04, -1.17, 1.88)
C (2.65, -2.37, 2.04)
C (3.07, -3.11, 0.90)
C (2.83, -2.63, -0.38)
C (2.25, -1.42, -0.62)
H (2.35, 2.43, 1.29)
H (2.10, 2.51, -0.43)
H (3.44, 1.40, 0.16)
H (-1.09, -2.94, -0.66)
H (-2.19, -5.05, 0.20)
H (-4.36, -4.56, 1.75)
H (-0.47, 3.10, 1.47)
H (-1.07, 5.52, 0.39)
H (-1.32, 5.68, -1.87)
H (-1.08, 3.86, -3.37)
H (-0.48, 1.62, -2.65)
H (1.72, -0.76, 2.84)
H (2.93, -2.75, 3.03)
H (3.57, -4.05, 1.04)
H (3.16, -3.30, -1.19)
H (2.04, -1.03, -1.63)

Computed properties:
energy relative to the best compared isomer or geometry (same formula, charge and spin)	77.1	kJ/mol
Kohn-Sham gap	9.29	eV
HOMO energy	-8.8300	eV

2.
C18H16N2O3S2 in the gas phase in a non-equilibrium geometry, computed with ωB97M-V/def2-TZVPD.

Element x y z (Å)
C (0.79, 0.64, 1.27)
C (0.35, -0.14, 2.25)
C (-1.03, -0.14, 2.83)
C (-2.04, 0.65, 2.04)
C (-2.06, 2.04, 2.13)
C (-2.99, 2.79, 1.43)
C (-3.94, 2.15, 0.65)
C (-3.93, 0.78, 0.54)
C (-2.97, 0.03, 1.22)
O (-3.02, -1.36, 1.11)
C (-2.03, -1.95, 0.31)
C (-2.33, -1.86, -1.18)
S (-2.02, -0.21, -1.89)
C (-0.30, -0.19, -1.86)
N (0.44, -1.18, -1.49)
C (1.76, -0.88, -1.57)
C (2.80, -1.74, -1.22)
C (4.10, -1.29, -1.35)
C (4.36, 0.00, -1.81)
N (5.72, 0.44, -1.93)
O (6.59, -0.34, -1.61)
O (5.92, 1.56, -2.35)
C (3.34, 0.87, -2.17)
C (2.04, 0.42, -2.04)
S (0.56, 1.27, -2.38)
H (1.81, 0.59, 0.93)
H (0.15, 1.35, 0.78)
H (1.03, -0.84, 2.72)
H (-0.96, 0.28, 3.84)
H (-1.38, -1.17, 2.94)
H (-1.34, 2.53, 2.77)
H (-2.99, 3.87, 1.52)
H (-4.68, 2.73, 0.11)
H (-4.66, 0.26, -0.06)
H (-2.03, -3.01, 0.59)
H (-1.04, -1.54, 0.51)
H (-3.38, -2.06, -1.38)
H (-1.70, -2.56, -1.74)
H (2.58, -2.73, -0.86)
H (4.93, -1.93, -1.09)
H (3.57, 1.86, -2.53)

Computed properties:
energy relative to the best compared isomer or geometry (same formula, charge and spin)	203.1	kJ/mol
Kohn-Sham gap	7.88	eV
HOMO energy	-8.5489	eV

3.
C18H16N4O2 in the gas phase in a non-equilibrium geometry, computed with ωB97M-V/def2-TZVPD.

Element x y z (Å)
N (-0.72, 1.84, -0.75)
C (-0.57, 1.07, 0.10)
C (-0.46, 0.16, 1.16)
C (0.49, -0.83, 1.18)
C (1.44, -1.05, 0.16)
C (2.44, -1.99, 0.03)
C (3.08, -1.75, -1.19)
C (2.44, -0.65, -1.75)
N (2.70, 0.07, -2.87)
C (1.71, 1.04, -3.32)
C (0.77, 0.36, -4.33)
O (1.49, -0.21, -5.40)
C (2.42, -1.16, -4.95)
C (3.42, -0.53, -3.97)
O (1.46, -0.23, -0.94)
C (-1.40, 0.32, 2.25)
N (-1.44, -0.44, 3.31)
C (-2.46, 0.04, 4.07)
C (-2.95, -0.38, 5.31)
C (-4.01, 0.31, 5.85)
C (-4.59, 1.40, 5.20)
********
Students will complete a sustainable development study module, teaching them how to act in accordance with the principles of sustainable development, taking care of life-cycle principles and considering their decisions from ethical viewpoints.
This optional sustainable development course, included in common studies, can be completed online in the “Ympäristöosaava ammattilainen” service. During the academic year 2020/21, we will be able to use the Ammattilaisen kädenjälki (“Professional’s handprint”) service in which students can take sustainable development courses designed for various industries.
Restaurant and catering
We train cooks and waiters skilled in sustainable gastronomy and wild food. They will be able to make wise use of resources from our forests, fields and waters, and act in a way that respects the raw material and nature. Students will pay particular attention to the acquisition and use of raw materials, factors concerning the life cycle of foods and Finland’s high-quality and good-tasting tap water. Students will also learn about international, regional and local foods, not forgetting the food producers.
We train responsible tourism professionals who can develop sustainable tourism services. Students will learn to make responsible choices in all matters related to tourism planning, development and implementation. Students will learn to respect and utilise local resources, choose alternatives that are best in terms of environmental friendliness and take travellers to places where the nature and environment can withstand their impact. Tourism education emphasises forests and Finland’s clean natural waters.

Customer service expert can help also in sustainable products choices
Social and cultural responsibility in teaching
At Perho CTBC, students will learn about regional cultures but also the cultures and habits in other countries. Tourism students practice guiding; restaurant students learn about international tastes; while business students view different cultures from the viewpoint of customer service.
Innovative learning environments
At Perho, sustainable development is integrated with acquisition of know-how through innovative learning environments.
One of the most visible achievements in terms of responsibility consist of establishing the operations in our own field, the Green City Farm in Longinoja, Malmi, Helsinki, and the creation of a centre of excellence for sustainable gastronomy. On the Green City Farm, students can experience first-hand how natural diversity can be maintained, learn about beekeeping and community-supported agriculture.
The field is also a source of raw materials for Perho CTBC’s other learning environment that is based on sustainable development, the Perho Restaurant. Perho Restaurant also includes a composter, and Perho cheesery and brewery.
Our third learning environment is iPerho, our online campus. The online campus ensures that courses can be taken regardless of time and place. They also reduce paper consumption and the need to travel to complete courses.

Green City Farm is a phenomenon based learning environment for students
(Here the text breaks off for molecular data)
<<<
No. 1
Entry from OMol25: an isolated molecule of CH3NO2S at a distorted geometry (the ωB97M-V functional and the def2-TZVPD basis).

Results
- HOMO: -9.40 eV
- 2S+1: 1
- SMILES: NC(=O)SO
- Charge: 0
- Total energy: -17505.135 eV

The geometry in XYZ format:
```
8
Properties=species:S:1:pos:R:3:forces:R:3
C 0.26514 -0.05754 -0.27888 0.7 -0.7 1.3
N 0.93131 -1.24336 -0.44914 -0.2 0.2 -0.1
O 0.69691 1.01837 -0.51651 0.1 0.9 -0.7
O -1.68188 1.44844 0.31418 -1.4 -0.7 -0.2
S -1.37369 -0.14754 0.73480 1.5 2.1 -1.3
H 1.95490 -1.31987 -0.67128 -1.8 0.4 0.5
H 0.46664 -1.91036 0.13120 0.6 -1.1 -0.1
H -1.25932 2.21186 0.73564 0.5 -1.0 0.5
```
Forces are in eV/Å.

=====

No. 2
Entry from OMol25: a cluster of 2 separate species, C3H10OS2 in total at a distorted geometry (the ωB97M-V functional and the def2-TZVPD basis).

Results
- HOMO: -8.13 eV
- 2S+1: 1
- SMILES: CCCSS.O
- Charge: 0
- Total energy: -26990.698 eV

The geometry in XYZ format:
```
16
Properties=species:S:1:pos:R:3:forces:R:3
C 0.53420 1.07646 0.19994 0.0 -0.1 -1.2
C -0.44453 1.82410 -0.72802 0.1 -0.5 0.2
C 0.93572 -0.29173 -0.45126 -1.0 1.0 0.1
S 1.01727 -1.67450 0.69235 0.3 -0.5 0.1
S 1.03950 -3.32848 -0.65615 0.1 1.2 0.2
H 1.44392 1.67316 0.15839 0.0 0.1 0.9
H 0.07261 0.97859 1.17776 0.3 0.0 0.2
H -0.08362 1.81735 -1.75848 0.1 0.1 0.0
H -0.57511 2.85992 -0.41875 0.0 0.0 0.0
H -1.40742 1.32006 -0.71698 -0.2 0.0 0.0
H 0.15507 -0.50795 -1.18282 0.3 -0.2 -0.2
H 1.89360 -0.07595 -0.91839 0.1 -0.6 -0.3
H 1.75679 -2.58469 -1.52617 0.1 -0.5 0.0
H -1.65847 -0.91658 2.67966 0.0 0.0 -0.2
H -2.69932 -1.40489 1.66629 0.3 0.2 0.0
O -1.98020 -0.76487 1.78264 -0.4 -0.1 0.1
```
Forces are in eV/Å.

=====

No. 3
Entry from OMol25: an isolated molecule of C3H3N3O at a distorted geometry (the ωB97M-V functional and the def2-TZVPD basis).

Results
- HOMO: -10.06 eV
- 2S+1: 1
- SMILES: O=c1nccn[nH]1
- Charge: 0
- Total energy: -9675.661 eV

The geometry in XYZ format:
```
10
Properties=species:S:1:pos:R:3:forces:R:3
O 2.27387 -1.25347 -0.11115 -0.3 0.8 0.2
C 1.22885 -0.70761 0.13148 0.0 0.3 -0.1
N 1.07334 0.67978 0.46076 -0.6 0.2 -0.6
N -0.09131 1.33957 0.21975 -0.7 0.1 -0.5
C -1.09631 0.67159 -0.18723 -0.2 0.1 0.3
C -1.06825 -0.76499 -0.09440 0.1 -0.1 0.1
N 0.00878 -1.42367 0.15795 -0.2 0.3 -0.1
H 1.60484 1.46925 0.10993 2.2 -1.1 0.6
H -1.91609 1.28249 -0.53262 -0.4 -0.3 0.2
H -2.01772 -1.29295 -0.15447 0.1 -0.2 -0.1
```
Forces are in eV/Å.

=====

No. 4
Entry from OMol25: a structure of composition C71H63BrN6O7Ti at a distorted geometry (the ωB97M-V functional and the def2-TZVPD basis).

Results
- HOMO: -7.29 eV
- 2S+1: 1
- Charge: 0
- Total energy: -191082.178 eV

The geometry in XYZ format:
```
149
Properties=species:S:1:pos:R:3:forces:R:3
Ti -0.16442 -0.48440 0.72859 -1.4 0.7 -0.8
O -0.76222 -0.38150 2.36289 -0.4 0.5 1.5
C -1.20202 -1.24260 3.33819 -0.5 -1.1 1.5
C -0.10722 -2.28500 3.75989 -0.3 0.5 -0.4
C 0.61188 -2.99180 2.65619 0.1 -0.6 0.3
C 0.77308 -4.37470 2.61159 0.1 0.3 0.1
>>>
Perho PRO
Perho PRO is an unit of Perho Culinary, Tourism & Business College. It offers further education to companies.
In Perho PRO you can study ravintola-, matkailu- ja liiketoiminnan alojen ammatti- tai erikoisammattitutkintoja joustavasti työn ohessa. Perho PROn järjestää myös Perho Liiketalousopiston työvoimakoulutuksia yhteistyössä TE-palveluiden ja Uudenmaan ELY-keskuksen kanssa.